Source:
____________
Entry 1:
Diffraction record for Rb2AlBiBr6. The powder X-ray diffraction pattern is theoretical, not measured: it uses DFT lattice parameters and positions (PBE) and Cu Kα.
No peak broadening, texture or thermal motion is included.

Structure:
Lattice parameters (Å, degrees): 11.360 11.360 11.360 90.00 90.00 90.00
Space group Fm-3m (No. 225)
Unique sites:
Rb (0.250, 0.250, 0.250) (multiplicity 8)
Al (0.000, 0.000, 0.000) (multiplicity 4)
Bi (0.000, 0.000, 0.500) (multiplicity 4)
Br (0.000, 0.000, 0.239) (multiplicity 24)

Peak list (12 most intense, 2θ from 15° to 90°, low angle first)
2theta  d [Å]  I_rel
15.6  5.680  35
22.1  4.016  36
26.0  3.425  29
27.2  3.279  46
31.5  2.840  100
34.4  2.606  22
35.3  2.540  18
45.2  2.008  72
53.5  1.713  18
56.1  1.640  25
74.7  1.270  31
83.4  1.159  23


Entry 2:
Diffraction record for Ca5AlBi4. The powder X-ray diffraction pattern is theoretical, not measured: it uses DFT lattice parameters and positions (PBE) and Cu Kα.
No peak broadening, texture or thermal motion is included.

Structure:
Lattice parameters (Å, degrees): 16.862 5.352 7.702 90.00 91.37 90.00
Space group C2/m (No. 12)
Unique sites:
Ca (0.000, 0.000, 0.000) (multiplicity 2)
Ca (0.154, 0.500, 0.493) (multiplicity 4)
Ca (0.163, 0.500, 0.017) (multiplicity 4)
Al (0.000, 0.000, 0.500) (multiplicity 2)
Bi (0.010, 0.500, 0.754) (multiplicity 4)
Bi (0.187, 0.000, 0.252) (multiplicity 4)

Peak list (12 most intense, 2θ from 15° to 90°, low angle first)
2theta  d [Å]  I_rel
17.4  5.101  32
20.8  4.267  46
21.0  4.239  41
22.9  3.876  65
23.1  3.850  36
24.3  3.660  31
31.9  2.810  50
32.5  2.754  100
33.1  2.709  93
33.5  2.676  50
41.1  2.197  35
46.9  1.938  34


Entry 3:
Diffraction record for Ca2AlBiO5. The powder X-ray diffraction pattern is theoretical, not measured: it uses DFT lattice parameters and positions (PBE) and Cu Kα.
No peak broadening, texture or thermal motion is included.

Structure:
Lattice parameters (Å, degrees): 16.470 5.993 5.702 90.00 109.10 90.00
Space group Cc (No. 9)
Unique sites:
Ca (0.000, 0.225, 0.000) (multiplicity 4)
Ca (0.236, 0.240, 0.250) (multiplicity 4)
Al (0.112, 0.314, 0.645) (multiplicity 4)
Bi (0.351, 0.256, 0.897) (multiplicity 4)
O (0.023, 0.141, 0.630) (multiplicity 4)
O (0.101, 0.445, 0.341) (multiplicity 4)
O (0.206, 0.148, 0.787) (multiplicity 4)
O (0.292, 0.479, 0.562) (multiplicity 4)
O (0.372, 0.122, 0.299) (multiplicity 4)

Peak list (12 most intense, 2θ from 15° to 90°, low angle first)
2theta  d [Å]  I_rel
21.5  4.131  53
22.9  3.891  25
24.2  3.671  38
24.5  3.627  46
29.8  2.996  36
31.4  2.852  100
31.8  2.812  58
32.0  2.796  23
43.8  2.065  34
50.3  1.812  17
53.9  1.701  17
56.4  1.631  23


Entry 4:
Diffraction record for AlCd4Bi. The powder X-ray diffraction pattern is theoretical, not measured: it uses DFT lattice parameters and positions (PBE) and Cu Kα.
No peak broadening, texture or thermal motion is included.

Structure:
Lattice parameters (Å, degrees): 8.414 8.414 8.414 90.00 90.00 90.00
Space group F-43m (No. 216)
Unique sites:
Al (0.000, 0.000, 0.000) (multiplicity 4)
Cd (0.125, 0.125, 0.625) (multiplicity 16)
Bi (0.250, 0.250, 0.250) (multiplicity 4)

Peak list (12 most intense, 2θ from 15° to 90°, low angle first)
2theta  d [Å]  I_rel
18.3  4.858  19
21.1  4.207  17
30.0  2.975  24
35.4  2.537  100
37.0  2.429  42
48.4  1.881  8
53.3  1.718  10
56.9  1.619  34
62.4  1.487  26
73.9  1.283  12
74.9  1.268  15
89.5  1.095  22


Entry 5:
Diffraction record for Al2BiCl8. The powder X-ray diffraction pattern is theoretical, not measured: it uses DFT lattice parameters and positions (PBE) and Cu Kα.
No peak broadening, texture or thermal motion is included.

Structure:
Lattice parameters (Å, degrees): 12.726 7.958 7.903 90.00 93.70 90.00
Space group C2/m (No. 12)
Unique sites:
Al (0.199, 0.000, 0.191) (multiplicity 4)
Bi (0.000, 0.000, 0.500) (multiplicity 2)
Cl (0.112, 0.214, 0.300) (multiplicity 8)
Cl (0.143, 0.500, 0.710) (multiplicity 4)
____________
To do:
What is needed: write out the whole of the contents above without altering anything.
Done:
Entry 1:
Diffraction record for Rb2AlBiBr6. The powder X-ray diffraction pattern is theoretical, not measured: it uses DFT lattice parameters and positions (PBE) and Cu Kα.
No peak broadening, texture or thermal motion is included.

Structure:
Lattice parameters (Å, degrees): 11.360 11.360 11.360 90.00 90.00 90.00
Space group Fm-3m (No. 225)
Unique sites:
Rb (0.250, 0.250, 0.250) (multiplicity 8)
Al (0.000, 0.000, 0.000) (multiplicity 4)
Bi (0.000, 0.000, 0.500) (multiplicity 4)
Br (0.000, 0.000, 0.239) (multiplicity 24)

Peak list (12 most intense, 2θ from 15° to 90°, low angle first)
2theta  d [Å]  I_rel
15.6  5.680  35
22.1  4.016  36
26.0  3.425  29
27.2  3.279  46
31.5  2.840  100
34.4  2.606  22
35.3  2.540  18
45.2  2.008  72
53.5  1.713  18
56.1  1.640  25
74.7  1.270  31
83.4  1.159  23


Entry 2:
Diffraction record for Ca5AlBi4. The powder X-ray diffraction pattern is theoretical, not measured: it uses DFT lattice parameters and positions (PBE) and Cu Kα.
No peak broadening, texture or thermal motion is included.

Structure:
Lattice parameters (Å, degrees): 16.862 5.352 7.702 90.00 91.37 90.00
Space group C2/m (No. 12)
Unique sites:
Ca (0.000, 0.000, 0.000) (multiplicity 2)
Ca (0.154, 0.500, 0.493) (multiplicity 4)
Ca (0.163, 0.500, 0.017) (multiplicity 4)
Al (0.000, 0.000, 0.500) (multiplicity 2)
Bi (0.010, 0.500, 0.754) (multiplicity 4)
Bi (0.187, 0.000, 0.252) (multiplicity 4)

Peak list (12 most intense, 2θ from 15° to 90°, low angle first)
2theta  d [Å]  I_rel
17.4  5.101  32
20.8  4.267  46
21.0  4.239  41
22.9  3.876  65
23.1  3.850  36
24.3  3.660  31
31.9  2.810  50
32.5  2.754  100
33.1  2.709  93
33.5  2.676  50
41.1  2.197  35
46.9  1.938  34


Entry 3:
Diffraction record for Ca2AlBiO5. The powder X-ray diffraction pattern is theoretical, not measured: it uses DFT lattice parameters and positions (PBE) and Cu Kα.
No peak broadening, texture or thermal motion is included.

Structure:
Lattice parameters (Å, degrees): 16.470 5.993 5.702 90.00 109.10 90.00
Space group Cc (No. 9)
Unique sites:
Ca (0.000, 0.225, 0.000) (multiplicity 4)
Ca (0.236, 0.240, 0.250) (multiplicity 4)
Al (0.112, 0.314, 0.645) (multiplicity 4)
Bi (0.351, 0.256, 0.897) (multiplicity 4)
O (0.023, 0.141, 0.630) (multiplicity 4)
O (0.101, 0.445, 0.341) (multiplicity 4)
O (0.206, 0.148, 0.787) (multiplicity 4)
O (0.292, 0.479, 0.562) (multiplicity 4)
O (0.372, 0.122, 0.299) (multiplicity 4)

Peak list (12 most intense, 2θ from 15° to 90°, low angle first)
2theta  d [Å]  I_rel
21.5  4.131  53
22.9  3.891  25
24.2  3.671  38
24.5  3.627  46
29.8  2.996  36
31.4  2.852  100
31.8  2.812  58
32.0  2.796  23
43.8  2.065  34
50.3  1.812  17
53.9  1.701  17
56.4  1.631  23


Entry 4:
Diffraction record for AlCd4Bi. The powder X-ray diffraction pattern is theoretical, not measured: it uses DFT lattice parameters and positions (PBE) and Cu Kα.
No peak broadening, texture or thermal motion is included.

Structure:
Lattice parameters (Å, degrees): 8.414 8.414 8.414 90.00 90.00 90.00
Space group F-43m (No. 216)
Unique sites:
Al (0.000, 0.000, 0.000) (multiplicity 4)
Cd (0.125, 0.125, 0.625) (multiplicity 16)
Bi (0.250, 0.250, 0.250) (multiplicity 4)

Peak list (12 most intense, 2θ from 15° to 90°, low angle first)
2theta  d [Å]  I_rel
18.3  4.858  19
21.1  4.207  17
30.0  2.975  24
35.4  2.537  100
37.0  2.429  42
48.4  1.881  8
53.3  1.718  10
56.9  1.619  34
62.4  1.487  26
73.9  1.283  12
74.9  1.268  15
89.5  1.095  22


Entry 5:
Diffraction record for Al2BiCl8. The powder X-ray diffraction pattern is theoretical, not measured: it uses DFT lattice parameters and positions (PBE) and Cu Kα.
No peak broadening, texture or thermal motion is included.

Structure:
Lattice parameters (Å, degrees): 12.726 7.958 7.903 90.00 93.70 90.00
Space group C2/m (No. 12)
Unique sites:
Al (0.199, 0.000, 0.191) (multiplicity 4)
Bi (0.000, 0.000, 0.500) (multiplicity 2)
Cl (0.112, 0.214, 0.300) (multiplicity 8)
Cl (0.143, 0.500, 0.710) (multiplicity 4)